Reading02: Negotiation, Huh?

Reading02: Negotiation, Huh?

I haven’t negotiated anything in my (admittedly short) employment history. My only experiences so far have been internships, and I haven’t heard very much about people negotiation the terms of their internship. I had a pretty laissez-faire attitude about the terms, though – I didn’t consider negotiation and decide against; I honestly paid little attention to the terms before accepting.

I think that’s pretty typical, though. As I apply and interview for full-time positions, I definitely think I should negotiate my contract to some extent. Knowing myself, I probably won’t be “playing hardball” by any means, and very well could end up doing a token negotiation before accepting.

That’s one of the reasons I’m very glad to have done these readings – a lot of it makes sense, and it’s clear that you can get considerable benefit by negotiating before accepting a job. I knew this beforehand, but I didn’t really think about how to go through the process and didn’t have any specific knowledge of things to look for or strategies to use. I’ll definitely refer back to these resources when I’m negotiating an offer (hopefully relatively soon!).

I mentioned earlier that I might end up doing a “token negotiation” before accepting. By this, I mean that I wouldn’t consider myself very assertive in unfamiliar or stressful situations, and so I don’t think I would be very comfortable negotiating terms of my employment. If I make some sort of counter-offer that gets accepted, even if it’s small, I would likely pat myself on the back for negotiating at all and consider it done, even if I was leaving a lot more on the table.

[Next to the page, the page also holds records of crystals]
********
Starting from a crystal structure in Alexandria, relaxed with GGA-PBE, the XRD peak list of ZnPd3Au2 was simulated for Cu Kα, 1.54184 Å.

Peak list (10 most intense, 10° ≤ 2θ ≤ 90°, in order of falling intensity)
(1 2 1), 39.46°, rel. 100
(1 2 -2), 39.66°, rel. 99
(2 0 -1), 41.52°, rel. 88
(2 4 -1), 70.42°, rel. 33
(3 2 0), 74.24°, rel. 30
(3 2 -3), 74.63°, rel. 30
(0 4 0), 54.09°, rel. 19
(2 0 2), 59.88°, rel. 15
(2 0 -4), 60.46°, rel. 14
(2 4 2), 84.94°, rel. 10

Structure:
abc: 4.3474 6.7817 6.8627
angles: 90.00 107.97 90.00
Fractional positions:
Zn: 0.1618 0.0000 0.3214
Zn: 0.8382 0.0000 0.6786
Pd: 0.0000 0.2423 0.0000
Pd: 0.0000 0.7577 0.0000
Pd: 0.3257 0.2266 0.6539
Pd: 0.3257 0.7734 0.6539
Pd: 0.6743 0.2266 0.3461
Pd: 0.6743 0.7734 0.3461
Au: 0.1683 0.5000 0.3342
Au: 0.5000 0.0000 0.0000
Au: 0.5000 0.5000 0.0000
Au: 0.8317 0.5000 0.6658

=====

Record 1
Calculated powder diffraction line list
Compound: Zr6OsPt
Radiation: CuKα
Structure: a DFT-relaxed cell (GGA-PBE, Alexandria)

Top 10 peaks for 2θ = 10–80°, by angle:
two_theta, I_rel
11.96, 27
36.24, 100
38.11, 46
40.09, 6
45.74, 9
49.27, 9
55.00, 16
63.94, 16
67.66, 32
76.94, 9

Structure:
```
Zr6OsPt
1.0
4.722 0.000 0.000
0.000 4.722 0.000
0.000 0.000 14.795
Zr Os Pt
12 2 2
Cartesian
0.000 0.000 3.683 Zr
0.000 0.000 11.112 Zr
0.000 2.361 1.633 Zr
0.000 2.361 5.764 Zr
0.000 2.361 9.030 Zr
0.000 2.361 13.162 Zr
2.361 0.000 1.633 Zr
2.361 0.000 5.764 Zr
2.361 0.000 9.030 Zr
2.361 0.000 13.162 Zr
2.361 2.361 3.715 Zr
2.361 2.361 11.080 Zr
0.000 0.000 0.000 Os
2.361 2.361 7.397 Os
0.000 0.000 7.397 Pt
2.361 2.361 0.000 Pt
```

---

Record 2
Calculated powder diffraction line list
Compound: Sm6Ga2Pd
Radiation: CuKα
Structure: a DFT-relaxed cell (GGA-PBE, Alexandria)

Top 10 peaks for 2θ = 10–80°, by angle:
two_theta, I_rel
24.70, 20
25.20, 38
35.57, 100
35.77, 25
36.10, 24
51.74, 17
58.15, 11
64.15, 18
64.58, 17
75.32, 11

Structure:
```
Sm6Ga2Pd
1.0
-2.488 3.605 7.530
2.488 -3.605 7.530
2.488 3.605 -7.530
Sm Ga Pd
6 2 1
Cartesian
2.488 1.775 -2.467 Sm
0.000 1.776 0.000 Sm
2.488 1.775 2.467 Sm
0.000 1.830 5.063 Sm
0.000 5.434 0.000 Sm
0.000 1.830 9.997 Sm
2.488 0.000 5.013 Ga
0.000 3.605 2.517 Ga
2.488 0.000 0.000 Pd
```

=====

Calculated powder diffractogram of CoHSO4 for Cu Ka, from a cell relaxed with PBE+U.
No peak broadening, texture or thermal motion is included.

Structural model:
```
CoHSO4
1.0
3.344 -3.999 0.000
3.344 3.999 0.000
-2.552 0.000 5.797
Co H S O
2 2 2 8
Direct
0.000 0.000 0.000 Co
0.000 0.000 0.500 Co
0.060 0.940 0.750 H
0.940 0.060 0.250 H
0.335 0.665 0.250 S
0.665 0.335 0.750 S
0.145 0.688 0.393 O
0.262 0.378 0.098 O
0.312 0.855 0.107 O
0.378 0.262 0.598 O
0.622 0.738 0.402 O
0.688 0.145 0.893 O
0.738 0.622 0.902 O
0.855 0.312 0.607 O
```

Largest 10 diffraction maxima, by intensity, 15 to 90 degrees two-theta:
2theta	I_rel
30.44	100.0
19.73	63.4
29.18	44.7
18.25	42.9
27.46	36.7
36.77	33.1
38.35	29.6
44.25	22.3
27.09	18.8
56.68	16.8

=====

[1]
********

For this reason, I’d say that I could have a lower starting salary (or other benefits) than a hypothetical student with similar experience or abilities, but a personality more suited to negotiation. It makes sense, and I’d say this likely happens across the tech industry – people in a similar role or station might have different salaries due simply to how much they negotiated right at the beginning.

This obviously isn’t ideal – people should be paid according to the value of the work they should do, or the value of their skills. I think in a perfect world it would be a meritocracy, where salaries would be independent of negotiation, but that’s not realistic. This negotiation climate is the natural conclusion of the situation. Each party wants to maximize their resources, and so they are incentivized to be less up-front about the situation.

This would be much more acceptable if the two parties were in a position of equal power. They are not – the employer has much more than the prospective employee – and there are additional factors that could disincentivize an employee from negotiation. They’re in a strange situation, being in an adversarial relationship with their soon-to-be employer.

I would say it’s not ideal, but I wouldn’t go so far as to say it’s unethical. It’s just another example of a time when the rewards aren’t tied to merit quite as directly as they perhaps should be, and there are much large issues that should be addressed first.